
The assertion that the Italian language has changed very little from Latin may sound a little far-fetched, but it is nonetheless one that is shared by most scholars today. The Florentine dialect, on which Italian is largely based, "has preserved with good accuracy the morphological and phonetic traits [and] (...) such closeness to Latin has historical roots: the fact that Tuscan emerged relatively late and the pre-humanistic environment in which it flourished" (Segre: 1978).

Dante Alighieri

Il Sommo Poeta, Dante Alighieri

A passage from one of Boccaccio's tales may provide a sample against which to test this statement. Below the original excerpt I have provided my translation into modern Italian in which the words and phrases now obsolete have been conveniently replaced by new ones. A translation in italics follows the version in present-day Italian: 

Sì come chiarissima fama per tutto il mondo suona, messer Cane della Scala, al quale in assai cose fu favorevole la fortuna, fu uno de' più notabili e de' più magnifici signori che dallo imperatore Federico secondo in qua si sapesse in Italia. Il quale, avendo disposto di fare una notabile e maravigliosa festa in Verona, e a quella molte genti e di varie parti fossero venute, e massimamente uomini di corte d'ogni maniera, subito, qual che la cagio si fosse, da ciò si ritrasse, e in parte provvedette coloro che venuti v'erano, e licenziolli.

Giovanni Boccaccio

Giovanni Boccaccio

Solo uno, chiamato Bergamino, oltre al credere di chi non lo udì presto parlatore e ornato, senza essere d'alcuna cosa provveduto e licenza datagli si rimase, sperando che non sanza sua futura utilità ciò dovesse essere stato fatto. Boccaccio (Decameron, I:7 - original 14th-century text ) 

Proprio come dice la grandissima fama che tutto il mondo ha di lui, il nobile Cangrande della Scala, al quale in molte cose fu favorevole la fortuna, fu uno dei più famosi e più magnifici signori che dall'imperatore Federico secondo in qua si conoscessero in Italia. Il quale, avendo disposto di fare una sontuosa e magnifica festa a Verona, e lì erano venute molte genti di varie parti, soprattutto uomini di corte di ogni genere, poco dopo, qual che fosse la causa, da ciò si ritirò, e in parte compensò coloro che vi erano venuti, e li licenziò. Solo uno, chiamato Bergamino, inauditamente spigliato e colto nel parlare, rimase senza essere compensato di alcuna cosa né essere licenziato, sperando che ciò dovesse essere stato fatto non senza sua futura utilità. 

"Thus begins the seventh tale of the first day in Giovanni Boccaccio's Decameron. Here Cangrande della Scala, king of Verona cancels a party to which he had invited a number of notable guests from the courts of some Italian Italian States, probably prompted by the feudal wars that threatened his city state, and bids goodbye to his guests but not before lavishing them with presents. Unfortunately, he forgets to reward Bergamino, the ambassador of the Duke of Calabria who had made quite a long trip on horseback from Tuscany: feeling he had been shortchanged by Camgrande, he tells him the story about Primasso and the Abbot of Cluny, known to have been a wealthy man. When Primasso arrived, the abot had him wait all day in the monastery without giving even showing up, and thus had forced his guest to eat his own bread he had brought with him on his journey. Cangrande was widely known in Europe for his generosity and tolerance, and on hearing the tale he also gave Bergamino a new horse, much money and one of his most expensive suits, as had happed to Primasso in the story." (Boccaccio, Decameron, I:7)

Three facts must be taken into account if we are to understand why the Italian language is so conservative: 

1. most linguistic traits of Latin are also shared with the Tuscan dialect for historical reasons, i.e. the domination by Etrurian Kings and therefore the influence of their families in Rome’s earlier times before it became a Republic. The Etrurian substratum is a feature of both Latium and Tuscany.  

2. Italian scholars amd writers long held the Italian language to be inferior to Latin and therefore indebted it heavily with classical sources, and until the 13th century insisted to write in Latin rather than relying on their romance language(s) 

3. As a result of this attitude and a lack of political unity the Italian language developed more than one century later than most romance languages: though the Indovinello Veronese (9th c. A.D.) shows traces of Italian, scholars generally place it in that gray area called vulgar Latin

The earliest documents in the Italian language date back to about 960 A.D. and come from a deed signed by a Capuan notary, not by a head of state. It is worth noting that at the time of the deed it was not recognized as a national language and was by means an event of national importance,, whereas in other countries the emergence of romance languages has a much stronger political significance. 

Taken together, such factors may help explain the oddly archaic traits of the Italian language and its incredible resistance to change throughout the centuries. For a romance language, Italian enjoys a flexibility in word order nconceivable in other romance tongues, only comparable to a that of a flexive language, like Latin, Greek or German. 

Looser word-order with frequent subject-verb-object inversions is best preserved in Southern Italian. Take a few sentences from Giovanni Verga’s masterpiece novel I Malavoglia. After young ‘Ntoni is drafted into the Italian army the sadness about his departure is expressed in such terms: 

Ma pure ci pensavano sempre, nella casa del nespolo, o per certa scodella che le veniva tutti i giorni sotto mano alla Longa nell’apparecchiare il deschetto… 

If it were translated in its exact order, it would sound like this: “And yet they always thought about it, in the House of the Medlar Tree, whether on account of a certain dish that under her hands happened to be every day to Longa as she dressed the table…” (Mondadori, c. 1939, p.11). 

The Italian spoken in Sicily goes even farther: “Bella era quella cantante!” (“beautiful was that singer!”) “Che, l’hai incontrata, tu?” (“What, her meet did you?”) ”Sì, alla Scala di Milano cantava!” (“Yes, at the Scala di Milano sang she”). 

The approximate rendering I have given in parenthesis is only given by way of illustration of how loose the Italian sentence structure can afford to be. Though standard Italian does not employ such "mannerisms" and Northern non-standard Italian seems to even stricter standards (S-V-O) even where variations are allowed, Tuscan seems to indulge in many of the liberties indulged in by southern dialects. 

Word order is often O-V-S in the center-south, instead of the S-V-O pattern insisted upon by northern speakers, even where context actually suggests O-V-S for emphatical reasons. The O-V-S order can be used for emphasis by standard Italian speakers, although how and when to use it is subjective. 

If I want to show off my brand new car to you, I'd rather say, "quest'auto l'ho comprata io", not "ho comprato quest'auto". English, which cannot alter word order in the same way, would have "I did buy this car", but Italian scrambles the words instead of using extra auxiliaries.

If something were not considered worthy of attention, a native Italian might well want to switch to the regular S-V-O order: "Ho comprato quest'auto" does not imply a sense of pride on my part. Some shifts are therefore important since they give different twists in tone. 

The indebtedness of Italian to Latin reavealed by such unusual scrambling of words is also present in synthax and grammar: learning Italian may alleviate a student’s dependence on the Latin dictionary and grammar and vice versa. 

Records of crystals, kept here for reference
A plane-wave DFT calculation with PBE was carried out for an optimized crystal structure of PmCuAgPt.

Results
- theoretical density (g cm⁻³) = 10.81
- space-group type = F-43m, No. 216
- calculated total energy (eV/atom) = -4.82
- calculated volume (Å³ per atom) = 19.6

Structure (CIF):
```
data_PmCuAgPt
_cell_length_a 4.807
_cell_length_b 4.807
_cell_length_c 4.807
_cell_angle_alpha 60.00
_cell_angle_beta 60.00
_cell_angle_gamma 60.00
_space_group_name_H-M_alt 'P 1'
_space_group_IT_number 1
loop_
_space_group_symop_operation_xyz
'x,y,z'
loop_
_atom_site_label
_atom_site_fract_x
_atom_site_fract_y
_atom_site_fract_z
Pm1 0.000 0.000 0.000
Cu1 0.250 0.250 0.250
Ag1 0.500 0.500 0.500
Pt1 0.750 0.750 0.750
```

~~~~~

No. 1
The following is a PBE calculation of a relaxed structure of Pr6P3S2Cl, from the Alexandria database.

abc: 4.1537 8.3849 9.3556
angles: 103.47 102.83 90.00
Closest atoms and distances in Å follow each position.
Element x y z (fractional)
Pr (0.3251, 0.9175, 0.6502)  3 P 2.85-2.92, 2 S 2.97, 1 Cl 3.10
Pr (0.6659, 0.5875, 0.3317)  3 P 2.93-2.94, 3 S 2.99
Pr (0.6749, 0.0825, 0.3498)  3 P 2.85-2.92, 2 S 2.97, 1 Cl 3.10
Pr (0.9984, 0.2704, 0.9969)  3 P 2.83-2.89, 1 S 2.96, 2 Cl 3.08
Pr (0.0016, 0.7296, 0.0031)  3 P 2.83-2.89, 1 S 2.96, 2 Cl 3.08
Pr (0.3341, 0.4125, 0.6683)  3 P 2.93-2.94, 3 S 2.99
P (0.5000, 0.5000, 0.0000)  6 Pr 2.83-2.94
P (0.8356, 0.1663, 0.6711)  6 Pr 2.85-2.93
P (0.1644, 0.8337, 0.3289)  6 Pr 2.85-2.93
S (0.8347, 0.6701, 0.6694)  6 Pr 2.96-2.99
S (0.1653, 0.3299, 0.3306)  6 Pr 2.96-2.99
Cl (0.5000, 0.0000, 0.0000)  6 Pr 3.08-3.10

Properties
For the formation energy (no corrections), the calculation gives -1.7646 eV per atom. The crystal system is monoclinic.

=====

No. 2
The following is a PBE calculation of a relaxed structure of TeSe2Cl5, from the Alexandria database.

abc: 6.4328 8.9011 8.4441
angles: 60.95 61.08 57.40
Closest atoms and distances in Å follow each position.
Element x y z (fractional)
Te (0.0399, 0.0037, 0.9874)  4 Cl 2.34-2.59
Se (0.5073, 0.4581, 0.4504)  1 Se 2.18
Se (0.0954, 0.5989, 0.5815)  1 Se 2.18
Cl (0.9451, 0.9289, 0.3792)  1 Se 2.48
Cl (0.0886, 0.6901, 0.0460)  1 Te 2.45
Cl (0.9719, 0.3328, 0.9497)  1 Te 2.59, 1 Se 2.90
Cl (0.0967, 0.0915, 0.6579)  1 Te 2.39
Cl (0.4780, 0.8960, 0.9479)  1 Te 2.34

Properties
For the formation energy (no corrections), the calculation gives -0.3225 eV per atom. The crystal system is triclinic.

=====

No. 3
The following is a PBE calculation of a relaxed structure of Be3AgAu, from the Alexandria database.

abc: 4.2902 4.2902 4.2902
angles: 90.00 90.00 90.00
Closest atoms and distances in Å follow each position.

At a morphological and lexical level, though, Romanian is surprisingly close: 75% of its vocabulary is made of Latin words, while Slavic terms account for less than 15%. This is the Ethnologue's comment: 

Romanian has 77% lexical similarity with Italian, 75% with French, 74% with Sardinian, 73% with Catalan, 72% with Portuguese and Rheto-Romance, 71% with Spanish.

and Spain and Portugal are not far behind, while the distance of French is mostly apparent, since it is written in a much more familiar spelling to Latin than it is pronounced (pronunciation being affected by the Celto-Germanic substratum). A special place deserves Sardinian with a remarkable conservative phonetics that hads preserved many of the original sounds of classical Latin thanks to its geographic isolation.

# 1
# Pr2Zn4Cu3Ag

An optimized crystal structure of Pr2Zn4Cu3Ag (PBE, Alexandria).

Cell: 4.109 4.109 11.205 Å, 90.00 90.00 90.00°
Fractional coordinates of all 10 atoms:
Pr 0.500 0.000 0.240
Pr 0.000 0.500 0.760
Zn 0.500 0.500 0.000
Zn 0.000 0.000 0.000
Zn 0.500 0.000 0.643
Zn 0.000 0.500 0.357
Cu 0.000 0.000 0.500
Cu 0.500 0.000 0.865
Cu 0.000 0.500 0.135
Ag 0.500 0.500 0.500

Values from the calculation:
**VASP energy**: -3.198 eV/atom



# 2
# Cu2AgPt

An optimized crystal structure of Cu2AgPt (PBE, Alexandria).

Cell: 2.710 2.710 8.957 Å, 90.00 90.00 116.58°
Fractional coordinates of all 4 atoms:
Ag 0.500 0.500 0.750
Cu 0.000 0.000 0.005
Cu 0.000 0.000 0.495
Pt 0.500 0.500 0.250

Values from the calculation:
**Energy above the most stable polymorph in this dataset**: 0.109 eV/atom
**VASP energy**: -4.229 eV/atom



# 3
# Cu2AgPt

An optimized crystal structure of Cu2AgPt (PBE, Alexandria).

Cell: 4.800 4.800 4.800 Å, 133.11 133.11 68.49°
Fractional coordinates of all 4 atoms:
Ag 0.750 0.250 0.500
Cu 0.000 0.000 0.000
Cu 0.250 0.750 0.500
Pt 0.500 0.500 0.000

Values from the calculation:
**Energy above the most stable polymorph in this dataset**: 0.066 eV/atom
**VASP energy**: -4.272 eV/atom



# 4
# CuAg2Pt2

An optimized crystal structure of CuAg2Pt2 (PBE, Alexandria).

Cell: 6.407 6.407 4.270 Å, 90.00 90.00 90.00°
Fractional coordinates of all 10 atoms:
Cu 0.000 0.000 0.000
Cu 0.500 0.500 0.000
Ag 0.165 0.665 0.500
Ag 0.665 0.835 0.500
Ag 0.835 0.335 0.500
Ag 0.335 0.165 0.500
Pt 0.358 0.858 0.000
Pt 0.858 0.642 0.000
Pt 0.642 0.142 0.000
Pt 0.142 0.358 0.000

Values from the calculation:
**VASP energy**: -4.186 eV/atom



# 5
# Cu2AgPt

An optimized crystal structure of Cu2AgPt (PBE, Alexandria).

Cell: 2.802 2.802 7.324 Å, 90.00 90.00 90.00°
Fractional coordinates of all 4 atoms:
Ag 0.500 0.500 0.765
Cu 0.000 0.000 0.024
Cu 0.500 0.500 0.236
Pt 0.000 0.000 0.475

Values from the calculation:
**Energy above the most stable polymorph in this dataset**: 0.053 eV/atom
**VASP energy**: -4.285 eV/atom



# 6
# CuAg3Pt

An optimized crystal structure of CuAg3Pt (PBE, Alexandria).

Cell: 4.680 4.680 4.680 Å, 90.00 90.00 90.00°
Fractional coordinates of all 5 atoms:
Cu 0.000 0.000 0.000
Ag 0.000 0.500 0.000
Ag 0.000 0.000 0.500
Ag 0.500 0.000 0.000
Pt 0.500 0.500 0.500

Values from the calculation:
**Energy above the most stable polymorph in this dataset**: 0.000 eV/atom
**VASP energy**: -2.889 eV/atom



Sequential DOS at the Fermi energy output: 0.62; 0.44; 0.36; 1.46; 0.27; 0.25 states/eV per atom
Sequential formation energy output: -211; 16; 0; 92; -5; 410 kJ/mol of formula units

* * * * *

No. 1

We are unlikely to exaggerate by saying that the romance world still speaks Latin today. Much as Latin descends from proto-Indoeuropean, romance languages were in the beginning, just local Latin dialect or regional varieties of the same language. The fall of the empire separated all their people, who then developed their dialects into fully-fledged languages. But how many romance languages are there? It is almost impossible to make a count if we stray beyond national standards. 

The romance language world includes the following families: Sardinian, Asturo-Leonese, Castilian (eg. Spanish), Portuguese-Galician (eg.Portuguese), Catalan-Valencian-Balear (eg. Catalan), Occitan (the language of the ancient troubadour poetsis the archaic version), Raetian, Langues d’Oil (eg. French), Pyrenean, Mozarabic, Romanian (eg. Romanian), Italo-Dalmatian eg.(Italian, but Dalmatian went extinct in the late 19th century). 

Each of these families is divided into several languages, some of which have acquired national status (as those listed between parentheses) while many more are only spoken and commonly known as dialects or local vernaculars. 

All these languages reveal far more similarities than one would assume on listening: pronunciation can only mask them to some extent, but a closer look at the texts shows remarkable uniformity in syntax, grammar and lexicon. In Italy, where power changed hands several times the language of foreign settlers never prevailed as they were soon assimilated into the fabric of society, though northern Italy, like France, kept a small Celtic substratum that pre-dates Roman times. 

For all the political and cultural upheavals in Europe, Latin is still with us today: Latin words occur less frequently than in formal or written contexts, but romance terms used in conversation exceed 90% of the vocabulary in romance languages. While the 1,000 / 2,000 words most frequently used in ordinary English speech are of Germanic origin, the difference between colloquial/non colloquial lexicon is not as clear-cut in Italian. 

The historical divide produced by the Norman Invasion in Britain has in fact no equivalent in Italy. The Normans who settled in Southern Italy at around the same time found a language relatively similar to their own French: much of their languge d’oil passed into the Southern dialects with relative ease. 

The Gothic language brought by Teodoric did not survive in northern Italy either, though we know some of it from Wulfila’s Bible. It had more luck in Spain, while the Lombard left some small traces in toponyms and surnames. 

### Materials data, as found in the file
# PmHoGa2Ir2, relaxed, DFT PBE-GGA
# total energy	-6.294	eV/atom
# crystal system	trigonal
# Fermi-level density of states	0.632	states/eV per atom
# calculated volume	20.194	A^3/atom
data_PmHoGa2Ir2
_chemical_formula_sum 'Pm1 Ho1 Ga2 Ir2'
_cell_length_a 4.4118
_cell_length_b 4.4118
_cell_length_c 7.1879
_cell_angle_alpha 90.00
_cell_angle_beta 90.00
_cell_angle_gamma 120.00
_space_group_name_H-M_alt 'P -3 m 1'
_space_group_IT_number 164
_space_group_name_Hall '-P 3 2"'
loop_
_atom_site_label
_atom_site_type_symbol
_atom_site_fract_x
_atom_site_fract_y
_atom_site_fract_z
_atom_site_occupancy
Pm1 Pm 0.0000 0.0000 0.0000 1
Ho1 Ho 0.0000 0.0000 0.5000 1
Ga1 Ga 0.3333 0.6667 0.2685 1
Ir1 Ir 0.3333 0.6667 0.7324 1

---

# KLaY4, relaxed, DFT PBE-GGA
# total energy	-4.874	eV/atom
# crystal system	cubic
# Fermi-level density of states	2.176	states/eV per atom
# calculated volume	38.852	A^3/atom
data_KLaY4
_chemical_formula_sum 'K4 La4 Y16'
_cell_length_a 9.770
_cell_length_b 9.770
_cell_length_c 9.770
_cell_angle_alpha 90.00
_cell_angle_beta 90.00
_cell_angle_gamma 90.00
_space_group_name_H-M_alt 'F -4 3 m'
_space_group_IT_number 216
_space_group_name_Hall 'F -4 2 3'
loop_
_atom_site_label
_atom_site_type_symbol
_atom_site_fract_x
_atom_site_fract_y
_atom_site_fract_z
_atom_site_occupancy
K1 K 0.000 0.000 0.000 1
La1 La 0.250 0.250 0.750 1
Y1 Y 0.122 0.122 0.378 1

=====

Entry 1:
The following is a DFT calculation (PBE) of a relaxed structure of HoMg5Pb6.

For the energy above the most stable polymorph in this dataset, the calculation gives 0.00 eV per formula unit. As for the crystal system: monoclinic. The value obtained for the total DFT energy (no corrections) is -3.02 eV per atom. As for the energy relative to the elements: -115 meV/atom.

It has space group P2/m (No. 10), with a = 5.413 Å, b = 7.200 Å, c = 8.557 Å, α = 90.00°, β = 107.38° and γ = 90.00°. The inequivalent atoms are Ho at (0.000, 0.000, 0.000), Mg at (0.000, 0.500, 0.000), Mg at (0.329, 0.500, 0.660), Mg at (0.337, 0.000, 0.676), Pb at (0.171, 0.250, 0.341) and Pb at (0.500, 0.261, 0.000).


Entry 2:
The following is a DFT calculation (PBE) of a relaxed structure of ScSi2HF.

As for the crystal system: tetragonal. The value obtained for the total DFT energy (no corrections) is -4.30 eV per atom.

It has space group P4/mmm (No. 123), with a = 5.360 Å, b = 5.360 Å, c = 3.947 Å, α = 90.00°, β = 90.00° and γ = 90.00°. The inequivalent atoms are Sc at (0.000, 0.000, 0.000), Si at (0.000, 0.500, 0.000), H at (0.500, 0.500, 0.500) and F at (0.000, 0.000, 0.500).


Entry 3:
The following is a DFT calculation (PBE) of a relaxed structure of PuTh3.

For the energy above the most stable polymorph in this dataset, the calculation gives 0.05 eV per formula unit. As for the crystal system: orthorhombic. The value obtained for the total DFT energy (no corrections) is -9.07 eV per atom. As for the energy relative to the elements: 82 meV/atom.

On a close tie with the Italian language for its exceptional adherence to Latin is, as we said,  Rumenian, which still preserves much of the old flexive system and lexicon, despite its geographic closeness to the Slavic world, the attempts by the Soviet Union in the Cold War to impose its cultural models on the Eastern Block, and some contamination from its Hungarian neighbors. 

The Latin heritage should, then, be reason enough to take the first steps of our journey from Ancient Rome. After that, in order to explain the shift to Italian, we are going to dwell a while upon that foggy area (9th-11th centuries) when Italians start to speak what sounds like a curious blend of Latin and dialect. 

While the “decay” of classical Latin starts in the 3rd century A.D., it remains relatively uncospicuous until we approach the end of the first millennium. It is at this time that new languages come of age thoughout the 'Romania' (the romance world), the former Imperial provinces.

Our survey is going to require another pit stop as we reach the 14th century: Dante, Petrarch and Boccaccio are the Holy Trinity without whom modern Italian would have never existed. We are going to explain how these masters of literature turned Florentine into Italian by writing immortal works that are the staple of school curricula. 

After the golden age of literature we are going to speed through the 15th century to stop in the 16th when Renaissance scholars draft the first guidelines to regulate the spelling and the grammar of the new language in the following centuries. To enforrce such norms, the Accademia della Crusca is also founded and its dictionary is the watershed that marks the presence of this new entity, a unified language that stretches from North to South, though writers will not agree on spelling variants and articles for a while. 

While the 17th and 18th century do not witness any noticeable progress in standardization, the 19th century rekindles the old debate: what exactly is Italian? What rules should govern an Italian grammar for the schools? Establishing a new national standard the layman could use becomes of dramatic importance as the country’s drive to political unification gains momentum. 

Though many questions remain unsolved until after 1861 (Italy's Unification), compulsory education, the military draft and the civil service create an unprecedented mobility of personnel throughout the country that brings much fresh blood to the texture of Italian from the very dialects that the purist elites had shunned. These are finally faced with a new language shaped as much by the people as the wrtiters. 

The 20th century spreads the knowledge of the new standard even among the people who have least access to education, thanks to radio and television, but after a good start (50s-70s) the media fails to impose a unified standard, since Rai TV (public) veers more and more to a southern, Rome based accent while private television, headed by Lombard media-magnate Silvio Berlusconi is chiefly staffed by Lombards. 

Popular access to the internet (1990s) and cell phones introduce many new words and even invent quite a revolutionary orthography to use behind the desktop. But words and fads rise and fall so fast on the web that it is far from easy to envisage what lies ahead for the Italian language of the 3rd millennium. The economic and social divide, however, is now further extended by the presence of these two local varieties.

Bur let us take a step back to the time of Ceasar to explore its best-kept secret including the actual pronunciation, which has been restored thanks to the painful research of comparative linguistics....